+++
[1]
{
  "formula": "C7H15NO",
  "method": "ωB97M-V/def2-TZVPD",
  "symbols": ["C", "C", "C", "C", "C", "C", "C", "N", "O", "H", "H", "H", "H", "H", "H", "H", "H", "H", "H", "H", "H", "H", "H", "H"],
  "positions_angstrom": [[0.5450, -0.2709, 0.5527], [0.0419, 0.2829, -0.6980], [0.1923, 0.4558, 1.8263], [2.3660, 0.1633, -0.0023], [0.1045, 1.7665, -0.9861], [-2.3982, -1.2833, -0.9206], [-1.8263, 0.0233, -0.4074], [0.4548, -1.6589, 0.6809], [-2.5204, 0.8622, 0.1084], [0.2274, -0.3622, -1.5514], [0.8048, -2.1923, -0.1027], [0.7685, -2.0304, 1.5649], [0.4704, 1.5046, 1.7591], [0.7094, 0.0228, 2.6820], [-0.8804, 0.3974, 2.0105], [2.6196, 1.0637, 0.5511], [2.9366, -0.6824, 0.3785], [2.6359, 0.2824, -1.0493], [1.1189, 2.1474, -1.0918], [-0.4074, 2.3311, -0.2093], [-0.4059, 1.9747, -1.9255], [-1.8179, -2.1040, -0.4958], [-3.4560, -1.3778, -0.6687], [-2.2835, -1.3160, -2.0052]],
  "forces_ev_per_a": [[4.8, 1.3, -1.2], [-5.8, -0.2, 0.1], [0.3, 0.1, -0.1], [-1.3, -0.7, 2.2], [0.2, -0.2, -0.1], [0.2, 0.1, 0.2], [1.4, 0.5, -1.1], [-0.8, -0.8, 0.1], [0.8, -0.3, -0.1], [0.2, 0.0, -0.1], [0.1, 0.1, 0.1], [0.1, 0.1, -0.1], [0.0, 0.0, 0.0], [0.1, 0.0, 0.0], [0.0, 0.0, 0.0], [0.2, 0.1, 0.0], [0.1, 0.0, 0.2], [-0.7, 0.0, -0.2], [0.1, -0.1, 0.1], [0.0, 0.0, 0.0], [-0.1, 0.0, 0.0], [-0.1, 0.0, -0.1], [0.1, 0.1, 0.0], [0.1, 0.0, 0.0]],
  "homo_ev": -7.58,
  "energy_ev": -11037.6483,
  "orbital_gap_ev": 8.47,
  "de_lowest_ev": 3.026,
  "max_force_ha_per_bohr": 0.112
}

***

[2]
{
  "formula": "C7H15NO",
  "method": "ωB97M-V/def2-TZVPD",
  "symbols": ["C", "O", "C", "C", "C", "C", "C", "C", "N", "H", "H", "H", "H", "H", "H", "H", "H", "H", "H", "H", "H", "H", "H", "H"],
  "positions_angstrom": [[2.8565, 0.4675, 0.3822], [1.9167, 0.9608, -0.5420], [0.9923, 0.0219, -1.0382], [-0.1292, -0.3953, -0.0450], [0.2377, -1.6829, 0.7011], [-1.4600, -0.5907, -0.8148], [-2.1966, 0.7302, -0.6154], [-1.7688, 1.0883, 0.8103], [-0.3750, 0.6825, 0.9197], [3.6155, 1.2425, 0.4838], [3.3255, -0.4522, 0.0138], [2.4029, 0.2788, 1.3600], [0.5413, 0.5335, -1.8937], [1.5144, -0.8746, -1.4021], [1.1829, -1.5812, 1.2244], [0.3088, -2.5142, 0.0026], [-0.5323, -1.9033, 1.4359], [-1.2914, -0.8372, -1.8619], [-2.0304, -1.4002, -0.3582], [-3.2750, 0.6370, -0.7255], [-1.8335, 1.4835, -1.3172], [-1.8905, 2.1444, 1.0504], [-2.3534, 0.5005, 1.5280], [0.2413, 1.4603, 0.7018]],
  "forces_ev_per_a": [[0.1, 0.0, 0.1], [0.0, 0.1, -0.1], [-0.3, 0.0, -0.1], [0.3, -0.4, 0.0], [0.0, 0.2, -0.2], [0.1, 0.2, 0.1], [0.1, 0.0, 0.2], [-0.3, -0.1, 0.0], [0.3, 0.4, -0.1], [0.0, -0.1, 0.1], [0.0, 0.0, 0.0], [0.0, 0.0, 0.0], [0.0, -0.1, 0.0], [0.0, 0.0, 0.0], [0.1, 0.0, 0.1], [0.0, -0.2, -0.1], [-0.1, -0.1, 0.1], [0.0, -0.1, -0.1], [0.0, -0.1, 0.0], [-0.1, 0.0, -0.1], [0.0, 0.1, 0.0], [0.0, 0.0, 0.1], [-0.1, 0.1, 0.0], [-0.1, -0.1, 0.0]],
  "smiles": "COC[C@]1(C)CCCN1",
  "homo_ev": -8.70,
  "energy_ev": -11039.3777,
  "orbital_gap_ev": 9.66,
  "de_lowest_ev": 1.297,
  "max_force_ha_per_bohr": 0.010
}

***

[3]
{
  "formula": "C7H15NO",
  "method": "ωB97M-V/def2-TZVPD",
+++

What is needed: repeat everything further up word for word.

[1]
{
  "formula": "C7H15NO",
  "method": "ωB97M-V/def2-TZVPD",
  "symbols": ["C", "C", "C", "C", "C", "C", "C", "N", "O", "H", "H", "H", "H", "H", "H", "H", "H", "H", "H", "H", "H", "H", "H", "H"],
  "positions_angstrom": [[0.5450, -0.2709, 0.5527], [0.0419, 0.2829, -0.6980], [0.1923, 0.4558, 1.8263], [2.3660, 0.1633, -0.0023], [0.1045, 1.7665, -0.9861], [-2.3982, -1.2833, -0.9206], [-1.8263, 0.0233, -0.4074], [0.4548, -1.6589, 0.6809], [-2.5204, 0.8622, 0.1084], [0.2274, -0.3622, -1.5514], [0.8048, -2.1923, -0.1027], [0.7685, -2.0304, 1.5649], [0.4704, 1.5046, 1.7591], [0.7094, 0.0228, 2.6820], [-0.8804, 0.3974, 2.0105], [2.6196, 1.0637, 0.5511], [2.9366, -0.6824, 0.3785], [2.6359, 0.2824, -1.0493], [1.1189, 2.1474, -1.0918], [-0.4074, 2.3311, -0.2093], [-0.4059, 1.9747, -1.9255], [-1.8179, -2.1040, -0.4958], [-3.4560, -1.3778, -0.6687], [-2.2835, -1.3160, -2.0052]],
  "forces_ev_per_a": [[4.8, 1.3, -1.2], [-5.8, -0.2, 0.1], [0.3, 0.1, -0.1], [-1.3, -0.7, 2.2], [0.2, -0.2, -0.1], [0.2, 0.1, 0.2], [1.4, 0.5, -1.1], [-0.8, -0.8, 0.1], [0.8, -0.3, -0.1], [0.2, 0.0, -0.1], [0.1, 0.1, 0.1], [0.1, 0.1, -0.1], [0.0, 0.0, 0.0], [0.1, 0.0, 0.0], [0.0, 0.0, 0.0], [0.2, 0.1, 0.0], [0.1, 0.0, 0.2], [-0.7, 0.0, -0.2], [0.1, -0.1, 0.1], [0.0, 0.0, 0.0], [-0.1, 0.0, 0.0], [-0.1, 0.0, -0.1], [0.1, 0.1, 0.0], [0.1, 0.0, 0.0]],
  "homo_ev": -7.58,
  "energy_ev": -11037.6483,
  "orbital_gap_ev": 8.47,
  "de_lowest_ev": 3.026,
  "max_force_ha_per_bohr": 0.112
}

***

[2]
{
  "formula": "C7H15NO",
  "method": "ωB97M-V/def2-TZVPD",
  "symbols": ["C", "O", "C", "C", "C", "C", "C", "C", "N", "H", "H", "H", "H", "H", "H", "H", "H", "H", "H", "H", "H", "H", "H", "H"],
  "positions_angstrom": [[2.8565, 0.4675, 0.3822], [1.9167, 0.9608, -0.5420], [0.9923, 0.0219, -1.0382], [-0.1292, -0.3953, -0.0450], [0.2377, -1.6829, 0.7011], [-1.4600, -0.5907, -0.8148], [-2.1966, 0.7302, -0.6154], [-1.7688, 1.0883, 0.8103], [-0.3750, 0.6825, 0.9197], [3.6155, 1.2425, 0.4838], [3.3255, -0.4522, 0.0138], [2.4029, 0.2788, 1.3600], [0.5413, 0.5335, -1.8937], [1.5144, -0.8746, -1.4021], [1.1829, -1.5812, 1.2244], [0.3088, -2.5142, 0.0026], [-0.5323, -1.9033, 1.4359], [-1.2914, -0.8372, -1.8619], [-2.0304, -1.4002, -0.3582], [-3.2750, 0.6370, -0.7255], [-1.8335, 1.4835, -1.3172], [-1.8905, 2.1444, 1.0504], [-2.3534, 0.5005, 1.5280], [0.2413, 1.4603, 0.7018]],
  "forces_ev_per_a": [[0.1, 0.0, 0.1], [0.0, 0.1, -0.1], [-0.3, 0.0, -0.1], [0.3, -0.4, 0.0], [0.0, 0.2, -0.2], [0.1, 0.2, 0.1], [0.1, 0.0, 0.2], [-0.3, -0.1, 0.0], [0.3, 0.4, -0.1], [0.0, -0.1, 0.1], [0.0, 0.0, 0.0], [0.0, 0.0, 0.0], [0.0, -0.1, 0.0], [0.0, 0.0, 0.0], [0.1, 0.0, 0.1], [0.0, -0.2, -0.1], [-0.1, -0.1, 0.1], [0.0, -0.1, -0.1], [0.0, -0.1, 0.0], [-0.1, 0.0, -0.1], [0.0, 0.1, 0.0], [0.0, 0.0, 0.1], [-0.1, 0.1, 0.0], [-0.1, -0.1, 0.0]],
  "smiles": "COC[C@]1(C)CCCN1",
  "homo_ev": -8.70,
  "energy_ev": -11039.3777,
  "orbital_gap_ev": 9.66,
  "de_lowest_ev": 1.297,
  "max_force_ha_per_bohr": 0.010
}

***

[3]
{
  "formula": "C7H15NO",
  "method": "ωB97M-V/def2-TZVPD",